
Saturday, August 28, 2010

Darwinism and the Mosque

This article by James Taranto in the WSJ is loaded with tiny tidbits to analyze and dissect. It's all about how the media and the left hold most Americans in contempt. Here's one bit in particular that caught my eye.
Here's Robert Reich, Bill Clinton's labor secretary, explaining "The Anatomy of Intolerance" to readers of
Many Americans (and politicians who [sic] the polls) don't want a mosque at Manhattan's Ground Zero. . . .

Where is all this coming from?

It's called fear. When people are deeply anxious about holding on to their homes, their jobs, and their savings, they look for someone to blame. And all too often they find it in "the other"--in people who look or act differently, who come from foreign lands, who have what seem to be strange religions, who cross our borders illegally...
So if some Americans are afraid of people "who have what seem to be strange religions," it must be a totally irrational reaction to "economic insecurity." It couldn't possibly have anything to do with an act of mass murder committed in the name of the religion in question.

And Reich doesn't just fail to see the obvious. He dehumanizes his fellow Americans by treating their values, feelings and opinions as no more than reflexive reactions to material conditions.
Darwinism (and scientific atheism in general) tries to explain the world as a series of logical consequences of previous actions. There is no deeper meaning to anything, everything you see is the product of evolution and scientifically explainable actions. That mental model for explaining the unknown is the same that's being applied here.

The implicit explanation goes thusly: "There is no deeper meaning behind the actions of people who disagree with me, their positions can all be explained away through simple sociological laws and precepts. Economic uncertainty breeds fear. It's a well-known fact. The people that don't want the mosque are simply too ignorant to understand how their views are the products of evolution in a socio-economic sense."

_Unrelated to this entry: records of molecules_
<<<
23 unconnected molecules or ions with the total composition H46O23. Source: the Open Molecules 2025 dataset; level of theory: ωB97M-V/def2-TZVPD.

Its total charge is 0. As for the HOMO energy: -9.45 eV. The LUMO energy is -1.2 eV. For the energy above the lowest of the compared OMol25 structures with the same formula, charge and spin, the calculation gives 60.5 kcal/mol. Its HOMO-LUMO gap is 8.26 eV.

Each line ends with the Löwdin charge.
CARTESIAN COORDINATES (ANGSTROEM)
O (-14.687, 13.540, 9.952)  -0.0672
H (-14.764, 12.661, 9.582)  -0.0310
H (-13.850, 13.867, 9.624)  -0.0293
O (-14.898, 10.816, 9.799)  -0.0527
H (-15.369, 10.026, 9.534)  0.0672
H (-14.148, 10.492, 10.299)  -0.0121
O (-9.779, 16.594, 7.895)  -0.0455
H (-9.981, 15.879, 8.497)  -0.0235
H (-9.651, 16.166, 7.048)  0.0041
O (-10.160, 14.702, 10.408)  -0.0260
H (-10.366, 14.261, 11.232)  0.0479
H (-9.651, 15.470, 10.667)  0.0645
O (-13.089, 9.620, 11.318)  -0.0282
H (-13.035, 10.014, 12.188)  0.0663
H (-12.219, 9.250, 11.167)  0.0026
O (-13.352, 9.572, 4.853)  -0.0395
H (-12.974, 8.914, 4.269)  0.0372
H (-12.831, 9.509, 5.654)  0.0002
O (-10.499, 8.389, 11.097)  -0.0431
H (-10.022, 9.091, 11.538)  0.0202
H (-10.201, 8.430, 10.188)  0.0044
O (-13.948, 17.258, 8.266)  -0.0566
H (-13.640, 16.386, 8.016)  -0.0016
H (-13.712, 17.339, 9.190)  0.0249
O (-9.008, 10.908, 8.769)  -0.0402
H (-8.400, 10.256, 9.115)  0.0169
H (-9.829, 10.431, 8.649)  0.0156
O (-10.031, 11.296, 11.439)  -0.0358
H (-9.574, 11.561, 10.641)  0.0040
H (-10.716, 11.954, 11.554)  0.0377
O (-12.350, 14.507, 8.601)  -0.0412
H (-11.652, 14.458, 9.254)  -0.0040
H (-12.117, 13.843, 7.951)  0.0085
O (-13.161, 11.244, 7.456)  -0.0230
H (-13.741, 11.190, 6.697)  0.0565
H (-13.712, 10.994, 8.197)  0.0184
O (-13.009, 13.170, 4.034)  -0.0277
H (-13.089, 13.312, 4.977)  0.0405
H (-13.624, 13.791, 3.644)  0.0613
O (-9.323, 9.265, 5.777)  -0.0258
H (-9.010, 9.482, 4.899)  0.0710
H (-8.660, 8.670, 6.127)  0.0570
O (-10.232, 14.732, 5.317)  -0.0283
H (-9.497, 14.435, 4.782)  0.0161
H (-10.481, 13.964, 5.831)  -0.0085
O (-10.949, 8.780, 8.169)  -0.0270
H (-10.304, 8.629, 7.479)  0.0126
H (-11.539, 8.029, 8.115)  0.0725
O (-10.782, 12.894, 2.412)  -0.0771
H (-10.000, 13.068, 2.936)  -0.0455
H (-11.508, 12.981, 3.030)  -0.0362
O (-8.270, 12.949, 3.317)  -0.0486
H (-7.422, 13.388, 3.261)  0.0576
H (-8.208, 12.406, 4.103)  -0.0187
O (-5.413, 13.788, 5.827)  -0.0555
H (-5.922, 13.484, 6.578)  -0.0420
H (-5.232, 12.996, 5.322)  0.0273
O (-6.937, 8.726, 8.830)  -0.0278
H (-6.514, 9.581, 8.752)  0.0351
H (-6.716, 8.428, 9.712)  0.0558
O (-8.039, 11.737, 5.663)  -0.0297
H (-7.926, 12.368, 6.374)  0.0352
H (-8.362, 10.945, 6.095)  0.0035
O (-10.899, 12.505, 7.260)  -0.0421
H (-10.076, 12.180, 7.624)  0.0115
H (-11.556, 11.871, 7.546)  -0.0067
O (-6.487, 13.292, 8.293)  -0.0194
H (-6.416, 12.455, 8.753)  0.0448
H (-6.528, 13.946, 8.990)  0.0683
>>>

Herein lies the arrogance of all such thinking - the author, in this case Robert Reich, believes himself immune from such effects. He thinks he lives outside the laboratory of life, an observer of the poor creatures trapped within. He's not just a better person than you, he is actually different from you. Where you cannot perceive the evolutionary processes at work upon your worldview and are therefore incapable of preventing your bigotries from flourishing, he lives in a different reality entirely where such forces do not work.

In that way, Robert Reich sees himself as God.

And that's the position all such people hold. Their views are all the product of rational thought, unencumbered by the mundane forces that drive you - greed, lust, fear, vanity. This thought process leads in one direction - the more these people manage your lives, the better off you'll be.

Unless they happen to be wrong and they really are driven by the same forces as you.

See how calmly he listens to your ravings? Truly, he is a Great Man. Bow ye down and worship him and pray that he deigns to guide you.


  1. Both you and Reich are quite correct. Reich is "the other". Reich and his ilk are the people we truly do fear.

  2. Pity the poor relativist. Always sawing off the branch he's sitting on.

  3. Upon due consideration, I have to say that I'm not quite sure what it is you are going on about, starting right about the time that you dragged "Darwinism" into it.

    Isn't it enough to say that (A) Reich thought that only part of the problem was actually the whole problem, and (B) You think Reich is an arrogant ass? Those are the only points I was able to extract from your post, the rest of it seemed to be a lot of sound and fury but not signifying much.

  4. Yeah, it probably wasn't a great chunk of logic there. I just saw a parallel in the mechanics of the two arguments - "I am above the whole thing and so I see it clearly unlike you little people."
